Search Results

William Stewart, from Petersburg, Virginia was a slave during the Antebellum and Civil War Era. He moved to Morgantown after 1900 and worked for the Moreland family. He died in 1934.

13. Former Slave William Stewart and Linnie May Slaughter, Morgantown, W. Va.

Sarah Seals was born a slave to the Benjamin B. Thorn family, ca. 1838-1842. She remained a slave until the Civil War and after emancipation she earned her living by keeping house for several people in Monongalia County. Information found on pages 30-31 in the book, "Our Monongalia..." by Connie Rice. Information with photo: "Courtesy of Laura Michael".

14. Sarah Seals, Monongalia County, W. Va.

A former slave, Edwards created his own successful business, running the first water service in Morgantown in ca. 1865. Information on page 35 in the book, "Our Monongalia ..." by Connie Rice. Information with photograph, " Courtesy of Gwendolyn Edwards".

15. John Edwards of Morgantown, W. Va.

Prisilla "Aunt Prissy" Clark was a slave owned by George Dorsey of Monongalia County. When he died in 1824, his slaves were willed to his wife and children. Prisilla was given to Dorsey's son. It is unknown if she ever gained her freedom. Information on p. 22 in "Our Monongalia" by Connie Park Rice. Information with the photograph includes "Reproduced from Spinster Club photo book, duplicate held by WVU Women's Centenary Project, Center for Women's Studies Archive. Original loaned by Ruth Lawrence Mahaney".

Next to the entry, the page also holds quantum chemistry results:
Here is a structure of composition C64H50NP3SSiV at a distorted geometry from the Open Molecules 2025 dataset. Energies are from ωB97M-V/def2-TZVPD.

Summary:
- DFT total energy: -5179.30356 Ha
- Maximum force: 1.7 eV/Å
- HOMO energy (alpha / beta): -5.976 / -6.678 eV
- E_LUMO (alpha / beta): 0.6 / 0.3 eV
- Spin multiplicity: 4
- Orbital gap (alpha / beta): 6.61 / 7.01 eV

Cartesian coordinates (Å):
1 V -0.2919 0.0145 -0.1065
2 C -3.0503 5.4038 -1.5186
3 C -2.9965 4.1095 -2.0088
4 C -2.1142 3.1958 -1.4592
5 C -1.2727 3.5665 -0.4159
6 C -1.3442 4.8668 0.0849
7 C -2.2329 5.7745 -0.4621
8 P -0.0460 2.3356 0.1722
9 C 0.1584 2.8710 1.9069
10 C 1.4088 2.8885 2.5201
11 C 1.5226 3.2085 3.8615
12 C 0.3969 3.5233 4.6036
13 C -0.8478 3.5333 3.9948
14 C -0.9686 3.2035 2.6581
15 C 1.5045 3.0217 -0.5287
16 C 1.6662 4.3224 -0.9911
17 C 2.8861 4.7162 -1.5145
18 C 3.9413 3.8200 -1.5675
19 C 3.7690 2.5196 -1.1247
20 C 2.5524 2.1008 -0.6064
21 Si 2.0453 0.2916 -0.1718
22 C 2.8834 -0.0048 1.5282
23 C 4.2395 0.1286 1.7852
24 C 4.7240 0.2224 3.0783
25 C 3.8312 0.2570 4.1352
26 C 2.4729 0.1307 3.9019
27 C 1.9927 -0.0645 2.6117
28 P 0.2069 -0.2650 2.2222
29 C -0.1296 -2.0530 2.2681
30 C -1.5766 -2.2737 1.9541
31 C -2.1864 -3.6427 2.2797
32 C -1.1995 -4.8175 2.3271
33 C 0.2769 -4.4601 2.0532
34 C 0.7239 -3.0704 2.3728
35 C -0.6461 -0.0985 3.8605
36 C -1.8504 0.5872 3.9351
37 C -2.5692 0.6179 5.1190
38 C -2.0966 -0.0443 6.2370
39 C -0.9360 -0.7967 6.1487
40 C -0.2300 -0.8478 4.9620
41 C 2.7518 -0.5286 -1.7526
42 C 4.0803 -0.8352 -1.9962
43 C 4.4913 -1.3257 -3.2240
44 C 3.5583 -1.5394 -4.2243
45 C 2.2213 -1.2621 -3.9931
46 C 1.8126 -0.7620 -2.7618
47 P 0.0590 -0.3008 -2.4325
48 C -0.1064 0.8801 -3.8358
49 C 0.1991 2.2101 -3.5745
50 C 0.2039 3.1519 -4.5864
51 C -0.0955 2.7688 -5.8839
52 C -0.4077 1.4464 -6.1560
53 C -0.4180 0.5041 -5.1419
54 C -1.0017 -1.6307 -3.0929
55 C -2.3493 -1.2825 -3.1970
56 C -3.2977 -2.2274 -3.5326
57 C -2.9171 -3.5402 -3.7617
58 C -1.5794 -3.8900 -3.6859
59 C -0.6252 -2.9407 -3.3619
60 H -3.7303 6.1228 -1.9532
61 H -3.6408 3.8112 -2.8228
62 H -2.0756 2.1772 -1.8263
63 H -0.7073 5.1657 0.9070
64 H -2.2847 6.7788 -0.0651
65 H 2.2966 2.6663 1.9441
66 H 2.4980 3.2113 4.3266
67 H 0.4891 3.7677 5.6515
68 H -1.7268 3.7953 4.5657
69 H -1.9407 3.2123 2.1803
70 H 0.8412 5.0216 -0.9829
71 H 3.0089 5.7210 -1.8931
72 H 4.8926 4.1310 -1.9750
73 H 4.5856 1.8170 -1.2084
74 H 4.9282 0.1989 0.9568
75 H 5.7845 0.3220 3.2582
76 H 4.1846 0.4073 5.1441
77 H 1.7912 0.2404 4.7318
78 H -2.1842 -1.4430 2.3353
79 H -2.9831 -3.6417 3.0209
80 H -1.3888 -5.5759 3.0827
81 H 0.9722 -5.2035 2.4469
82 H 1.7788 -2.9083 2.5580
83 H -2.2394 1.0722 3.0500
84 H -3.5087 1.1490 5.1602
85 H -2.6486 -0.0003 7.1648
86 H -0.5960 -1.3656 7.0018
87 H 0.6295 -1.4985 4.8823
88 H 4.8044 -0.6874 -1.2073
89 H 5.5392 -1.5255 -3.4068
90 H 3.8792 -1.9221 -5.1816
91 H 1.4973 -1.4316 -4.7774
92 H 0.4359 2.4915 -2.5563
93 H 0.4518 4.1794 -4.3605
94 H -0.0831 3.4986 -6.6808
95 H -0.6339 1.1478 -7.1710

16. Prisilla Clark of Morgantown, W. Va.

The woman seated in the photograph is Prisilla or "Aunt Prissy". She was a slave in the before the Civil War and owned by the Dorsey family of Morgantown. All others are unidentified. Information on p. 22 in "Our Monongalia" by Connie Park Rice. Information with the photograph includes "Reproduced from Spinster Photo Book Club, duplicate held by WVU Women's Centenary Project, Center for Women's Study Archive. Original loaned by Ruth Lawrence Mahaney."

17. 'One's Colored Relations', Morgantown, W. Va.

Built in 1820, the church was struck by a cannon ball during the 1862 Civil War Battle of Lewisburg. The "wound" is visible near the right corner of the structure. The boarded door entrance, right center, was used by slaves to enter the segregated balcony of the church for services.

18. John Wesley Methodist Church, Lewisburg, W. Va.

View from the North West.

19. Slave Quarters of Trammell Hollis Home, Gerrardstown, W. Va.

20. Level Green Slave Quarters Outbuilding, Jefferson Co., W. Va.

View of outbuilding from south-east.

21. Traveler's Rest Slave Quarters, Jefferson Co., W. Va.

Slave quarters and outbuilding viewed from the South East. Also known as the R. Lucas House.

22. Elmwood Slave Quarters, Jefferson Co., W. Va.

Information on back of photo reads: "Colonel H.A. Forlong (left) of Pontiac, Michigan, Surgeon of the 18th Corps, Ninth U.S. Army, sits beside a Russian Army officer at a stage show given in Lippstadt, Germany, May 20, 1945, by liberated Russian soldiers and former slave workers. Lippstadt is 70 miles northwest of the Rhine River city of Duisburg.

23. Allied Officers Attend Show Given By Freed Russians, Lippstadt, Germany

Caption on postcard reads: "Built of native stone by the early settlers in 1796, to take the place of an earlier log structure. The Church has the original slave balcony and hand hewn woodwork." Published by Neale's Drug Store. (From postcard collection legacy system.)

24. Old Stone Church; Lewisburg, W. Va.